**Data**
Material: HfBe3Se
Method: DFT, PBE
State: optimized geometry

**Electronic total energy**: -3.184 eV/atom
**Size of the total moment**: 0.00 μB/cell
**Excess energy over the best structure of this formula in the dataset**: 854 meV per atom
**Raw formation energy**: 8.69 eV/f.u.

```
HfBe3Se
1.0
4.7679 0.0000 0.0000
0.0000 4.7679 0.0000
0.0000 0.0000 4.7679
Hf Be Se
1 3 1
Direct
0.0000 0.0000 0.0000
0.0000 0.0000 0.5000
0.0000 0.5000 0.0000
0.5000 0.0000 0.0000
0.5000 0.5000 0.5000
```

---

Material: Hf2BeSe
Method: DFT, PBE
State: optimized geometry

**Electronic total energy**: -6.906 eV/atom
**Size of the total moment**: 0.00 μB/cell
**Excess energy over the best structure of this formula in the dataset**: 403 meV per atom
**Raw formation energy**: -0.51 eV/f.u.

```
Hf2BeSe
1.0
0.0000 3.2644 3.2644
3.2644 0.0000 3.2644
3.2644 3.2644 0.0000
Hf Be Se
2 1 1
Direct
0.2500 0.2500 0.2500
0.7500 0.7500 0.7500
0.0000 0.0000 0.0000
0.5000 0.5000 0.5000
```

---

Material: HfBe3Se
Method: DFT, PBE
State: optimized geometry

**Electronic total energy**: -4.039 eV/atom
**Size of the total moment**: 0.00 μB/cell
**Excess energy over the best structure of this formula in the dataset**: 0 meV per atom
**Raw formation energy**: 4.42 eV/f.u.

```
HfBe3Se
1.0
4.2707 0.0000 0.0000
0.0000 4.2707 0.0000
0.0000 0.0000 4.2707
Hf Be Se
1 3 1
Direct
0.0000 0.0000 0.0000
0.0000 0.5000 0.5000
0.5000 0.0000 0.5000
0.5000 0.5000 0.0000
0.5000 0.5000 0.5000
```

---

Material: HfBeSe
Method: DFT, PBE
State: optimized geometry

**Electronic total energy**: -6.083 eV/atom
**Size of the total moment**: 0.00 μB/cell
**Raw formation energy**: -1.08 eV/f.u.

```
HfBeSe
1.0
3.1479 -1.8163 0.0000
3.1479 1.8163 0.0000
-2.0369 0.0000 11.1679
Hf Be Se
2 2 2
Direct
0.1002 0.1002 0.2931
0.8998 0.8998 0.7069
0.1789 0.1789 0.5388
0.8211 0.8211 0.4612
0.3885 0.3885 0.1540
0.6115 0.6115 0.8460
```

~~~~~

Material: In3Te
Method: DFT, GGA-PBE
State: optimized geometry

**Total moment**: 0.0 μB/cell
**Symmetry**: No. 123
**Formation energy from raw total energies**: 0.04 eV per atom

a b c (Å): 3.435 3.435 9.775
angles (deg): 90.00 90.00 90.00
Atoms (fractional coordinates):
In1 0.500 0.500 0.752
In2 0.000 0.000 0.500
In3 0.500 0.500 0.248
Te1 0.000 0.000 0.000

~~~~~

## a
Entry from the Alexandria database: an optimized crystal structure of KNiN2F (GGA+U).

abc: 5.1431 5.1431 4.6773
angles: 90.00 90.00 90.00
Space group P4/mmm (No. 123)
Symmetry-distinct sites (fractional):
K: 0.0000 0.0000 0.0000 [1 per cell]
Ni: 0.5000 0.5000 0.5000 [1 per cell]
N: 0.0000 0.5000 0.0000 [2 per cell]
F: 0.0000 0.0000 0.5000 [1 per cell]

---

## b
Entry from the Alexandria database: an optimized crystal structure of KNiN2F (GGA+U).

abc: 3.6390 3.6390 5.5623
angles: 90.00 90.00 90.00
Space group P4/mmm (No. 123)
Symmetry-distinct sites (fractional):
K: 0.0000 0.0000 0.0000 [1 per cell]
Ni: 0.5000 0.5000 0.5000 [1 per cell]
N: 0.0000 0.5000 0.5000 [2 per cell]
F: 0.5000 0.5000 0.0000 [1 per cell]

---

Energetically preferred structure: b | next structure: +1412 meV per atom

~~~~~

Entry from Alexandria via LeMat-Bulk: crystalline SiTe2RuN at its relaxed geometry (GGA-PBE).

a b c (Å): 5.3443 5.3443 3.2618
angles (deg): 90.00 90.00 90.00
With the nearest neighbours (Å) after each atom.
Fractional positions:
Ru: 0.5000 0.5000 0.5000  8 Te 3.13, 2 Ru 3.26
Si: 0.0000 0.0000 0.0000  2 N 1.63
Te: 0.0000 0.5000 0.0000  2 Si 2.67
Te: 0.5000 0.0000 0.0000  2 Si 2.67
N: 0.0000 0.0000 0.5000  2 Si 1.63

## Properties
For the uncorrected formation energy, the calculation gives 0.61 eV/atom.

Entry from Alexandria via LeMat-Bulk: crystalline AgIrBr2 at its relaxed geometry (GGA-PBE).

a b c (Å): 3.3137 3.3137 9.0317
angles (deg): 90.00 90.00 111.96
With the nearest neighbours (Å) after each atom.
Fractional positions:
Ir: 0.0000 0.0000 0.5093  2 Br 2.48, 2 Ag 2.69
Br: 0.0000 0.0000 0.9401  2 Ag 2.69
Br: 0.5000 0.5000 0.3261  2 Ir 2.48
Ag: 0.5000 0.5000 0.7244  2 Ir 2.69, 2 Br 2.69

## Properties
**Wanted**
Work out how many lines further up have the word "Fractional" in them; a number is enough.
**Solution**
2